

  • Wow you look amazing, keep up the hard work! (It's definitely working for you.)
  • Oh dear do I wish I had that problem. Nope, boobs were the first thing to shrink.
  • Definitely going to give that a try!
  • Back when I first moved to town, before I put on a little weight, I had a lady recommend I shop at the Limited Too... OK I was a little offended. Now I am wearing a size 6. I thought size 2 was perfect. I don't want to look like a boy, I want SOME curves. lol.
  • I will definitely try this! It is easier to keep high protein lower carb. stuff around the house anyways b/c my husband is diabetic. The fear I always have is when your body burns fats and protein one of the nasty bio-products is H+ ions in the blood stream, which in extreme cases can cause acidosis, so I think it's…
  • I always add in my work out though, and it adjusts my "remaining calories" so I thought that was what i'm doing?? Or am I not??
  • I forgot to add that quality of sleep is just as important as quantity. We basically have 2 stages of sleep REM (rapid eye movement) and "Deep" sleep, which is where you body repairs and readjusts itself. REM is closer to being conscious, and many people who think they slept through the night never moved into the deeper…
[Someone pasted crystal structures at this point]
- - -
(1)
## CuCl2 (PBE)

Data for a relaxed structure of CuCl2.

Values from the calculation:
Its spin magnetization is 0.08 μB per cell. For the total energy, the calculation gives -8.693 eV/cell. As for the crystal system: tetragonal.

a b c (Å): 7.5649 7.5649 7.5649
angles (deg): 145.32 145.32 49.86
Closest atoms and distances in Å follow each position.
Positions (direct):
Cu (0.0000, 0.0000, 0.0000)  4 Cl 2.25
Cl (0.0000, 0.5000, 0.5000)  2 Cu 2.25
Cl (0.5000, 0.0000, 0.5000)  2 Cu 2.25

(2)
## Mg6AlNi (PBE)

Data for a relaxed structure of Mg6AlNi.

Values from the calculation:
Its spin magnetization is 0.00 μB per cell. The distance to the lowest polymorph of the same formula is 8 kJ/mol of formula units.

a b c (Å): 4.8590 6.0409 10.4678
angles (deg): 90.00 90.00 90.00
Closest atoms and distances in Å follow each position.
Positions (direct):
Mg (0.5000, 0.0000, 0.8257)  10 Mg 2.89-3.16, 2 Ni 2.94
Mg (0.5000, 0.2581, 0.0877)  8 Mg 2.89-3.16, 2 Ni 2.95, 2 Al 3.01
Mg (0.5000, 0.7581, 0.5877)  8 Mg 2.89-3.16, 2 Ni 2.95, 2 Al 3.01
Mg (0.0000, 0.2500, 0.9162)  8 Mg 3.00-3.02, 2 Al 3.00-3.04, 2 Ni 3.01-3.03
Mg (0.0000, 0.7500, 0.9162)  8 Mg 3.00-3.02, 2 Al 3.00-3.04, 2 Ni 3.01-3.03
Mg (0.0000, 0.2500, 0.4162)  8 Mg 3.00-3.02, 2 Al 3.00-3.04, 2 Ni 3.01-3.03
Mg (0.0000, 0.7500, 0.4162)  8 Mg 3.00-3.02, 2 Al 3.00-3.04, 2 Ni 3.01-3.03
Mg (0.5000, 0.0000, 0.3311)  2 Al 2.97, 10 Mg 2.99-3.06
Mg (0.5000, 0.2419, 0.5877)  8 Mg 2.89-3.16, 2 Ni 2.95, 2 Al 3.01
Mg (0.5000, 0.5000, 0.3257)  10 Mg 2.89-3.16, 2 Ni 2.94
Mg (0.5000, 0.5000, 0.8311)  2 Al 2.97, 10 Mg 2.99-3.06
Mg (0.5000, 0.7419, 0.0877)  8 Mg 2.89-3.16, 2 Ni 2.95, 2 Al 3.01
Ni (0.0000, 0.0000, 0.6671)  10 Mg 2.94-3.03, 2 Al 3.02
Ni (0.0000, 0.5000, 0.1671)  10 Mg 2.94-3.03, 2 Al 3.02
Al (0.0000, 0.0000, 0.1684)  10 Mg 2.97-3.04, 2 Ni 3.02
Al (0.0000, 0.5000, 0.6684)  10 Mg 2.97-3.04, 2 Ni 3.02

(3)
## SrCuF4 (PBE)

Data for a relaxed structure of SrCuF4.

Values from the calculation:
For the total energy, the calculation gives -59.806 eV/cell. As for the crystal system: tetragonal.

a b c (Å): 6.7213 6.7213 6.7213
angles (deg): 129.29 129.29 74.54
Closest atoms and distances in Å follow each position.
Positions (direct):
Sr (0.2500, 0.2500, 0.0000)  8 F 2.52
Sr (0.7500, 0.7500, 0.0000)  8 F 2.52
Cu (0.0000, 0.5000, 0.5000)  4 F 1.92
Cu (0.5000, 0.0000, 0.5000)  4 F 1.92
F (0.0442, 0.5442, 0.8381)  1 Cu 1.92
F (0.2061, 0.0442, 0.5000)  1 Cu 1.92
F (0.2939, 0.7939, 0.8381)  1 Cu 1.92
F (0.4558, 0.2939, 0.5000)  1 Cu 1.92
F (0.5442, 0.7061, 0.5000)  1 Cu 1.92
F (0.7061, 0.2061, 0.1619)  1 Cu 1.92
F (0.7939, 0.9558, 0.5000)  1 Cu 1.92
F (0.9558, 0.4558, 0.1619)  1 Cu 1.92

----------

(1)
First-principles (r2SCAN) data for an optimized crystal structure of K3Na, as listed in Materials Project.

a b c (Å): 9.162 9.162 7.215
angles (deg): 90.00 90.00 120.00
Atoms (fractional coordinates):
K  0.172  0.828  0.250
K  0.172  0.343  0.250
K  0.828  0.657  0.750
K  0.657  0.828  0.250
K  0.343  0.172  0.750
- - -
  • I wrote a research paper on the effects of chronic sleep deprivation on the effects of memory consolidation my 2nd year of college. (AKA: sleeping too little keeps your short term memories form going into long term memories) along the way I ran into a TON of research regarding the effects of too little sleep on…
  • I think you should try it. I don't know, I'm still young, but my mother is 56 and can run circles around me. Makes me think age is just a number. My 2 cents.
  • I limit myself to every 3 days, though allot of times I'm itching to get on earlier. I resist, the buzzkill thing is a big one. Also muscle gain can temporarily increase your #'s, big shocker when you work out like crazy and then weigh more. lol.
  • You can do it! There is allot of support her, and the food and exercise logs rock! Welcome!
  • This is an awesome idea, stick to your diet and have great breath! lol.
-- What comes next are records of crystals, not part of the piece --
********
VASP calculation (GGA+U) on a relaxed structure of Cr2O3.

Total magnetization: 6.00 μB per formula unit
Crystal system: orthorhombic
ΔH_f (0 K): -2.07 eV per atom
Final energy: -7.685 eV per atom

abc: 5.170 5.170 15.627
angles: 90.00 90.00 146.18
Fractional coordinates of all 20 atoms:
O (0.265, 0.735, 0.073)
O (0.735, 0.265, 0.927)
O (0.000, 0.000, 0.500)
O (0.172, 0.828, 0.750)
Cr (0.634, 0.366, 0.456)
O (0.472, 0.528, 0.852)
O (0.528, 0.472, 0.352)
O (0.472, 0.528, 0.648)
O (0.828, 0.172, 0.250)
Cr (0.905, 0.095, 0.356)
Cr (0.366, 0.634, 0.956)
Cr (0.634, 0.366, 0.044)
O (0.000, 0.000, 0.000)
O (0.265, 0.735, 0.427)
Cr (0.905, 0.095, 0.144)
O (0.735, 0.265, 0.573)
Cr (0.095, 0.905, 0.644)
Cr (0.095, 0.905, 0.856)
O (0.528, 0.472, 0.148)
Cr (0.366, 0.634, 0.544)

~~~~~

No. 1
# K2Si3SnO10 | the Materials Project | PBE-GGA | optimized geometry
data_K2Si3SnO10
_chemical_formula_sum 'K8 Si12 Sn4 O40'
_cell_length_a 7.209
_cell_length_b 10.170
_cell_length_c 13.315
_cell_angle_alpha 90.00
_cell_angle_beta 90.00
_cell_angle_gamma 90.00
_space_group_name_H-M_alt 'P 1'
_space_group_IT_number 1
loop_
_space_group_symop_operation_xyz
'x,y,z'
loop_
_atom_site_label
_atom_site_type_symbol
_atom_site_fract_x
_atom_site_fract_y
_atom_site_fract_z
O1 O 0.221 0.480 0.563
O2 O 0.495 0.561 0.237
O3 O 0.625 0.847 0.575
O4 O 0.905 0.118 0.274
O5 O 0.875 0.153 0.075
O6 O 0.753 0.911 0.134
O7 O 0.555 0.799 0.316
O8 O 0.721 0.020 0.437
O9 O 0.747 0.089 0.634
O10 O 0.530 0.164 0.816
O11 O 0.505 0.061 0.263
O12 O 0.979 0.912 0.562
O13 O 0.445 0.299 0.184
O14 O 0.247 0.411 0.366
O15 O 0.703 0.399 0.850
O16 O 0.858 0.710 0.084
O17 O 0.779 0.980 0.937
O18 O 0.297 0.899 0.650
O19 O 0.970 0.836 0.316
O20 O 0.595 0.882 0.774
O21 O 0.479 0.588 0.438
O22 O 0.030 0.336 0.184
O23 O 0.095 0.618 0.226
O24 O 0.945 0.201 0.816
O25 O 0.021 0.412 0.938
O26 O 0.405 0.382 0.726
O27 O 0.358 0.790 0.916
O28 O 0.125 0.653 0.425
O29 O 0.642 0.290 0.584
O30 O 0.005 0.439 0.737
O31 O 0.203 0.101 0.150
O32 O 0.995 0.939 0.763
O33 O 0.470 0.664 0.684
O34 O 0.797 0.601 0.350
O35 O 0.055 0.701 0.684
O36 O 0.279 0.520 0.063
O37 O 0.375 0.347 0.925
O38 O 0.142 0.210 0.416
O39 O 0.521 0.088 0.062
O40 O 0.253 0.589 0.866
Si1 Si 0.922 0.359 0.832
Si2 Si 0.493 0.821 0.675
Si3 Si 0.234 0.471 0.951
Si4 Si 0.078 0.859 0.668
Si5 Si 0.007 0.179 0.175
Si6 Si 0.578 0.641 0.332
Si7 Si 0.422 0.141 0.168
Si8 Si 0.266 0.529 0.451
Si9 Si 0.734 0.029 0.049
Si10 Si 0.507 0.321 0.825
Si11 Si 0.993 0.679 0.325
Si12 Si 0.766 0.971 0.549
K1 K 0.217 0.067 0.918
K2 K 0.159 0.219 0.630
K3 K 0.841 0.719 0.870
K4 K 0.783 0.567 0.582
K5 K 0.659 0.281 0.370
K6 K 0.717 0.433 0.082
K7 K 0.341 0.781 0.130
K8 K 0.283 0.933 0.418
Sn1 Sn 0.743 0.951 0.291
Sn2 Sn 0.257 0.451 0.209
Sn3 Sn 0.757 0.049 0.791
Sn4 Sn 0.243 0.549 0.709
# Total DFT energy (no corrections)   -424.73 eV for the cell shown
# E_form   -2.567 eV/atom
# Spin magnetization   7.99 μB/cell

***

No. 2
********
  • AWESOME job!!!! Allot of people on here have great ideas, I'm sure you'll find something that works. :smile:
  • I think the idea of a cheat meal once a week is a great idea. I'm not sure about a whole cheat day, because I think I could definitely over do it given a whole day. Right now I'm fighting with the Hubbies love of sweets. (He just baked a whole box of brownies, heaven help me.) So I cannot say "this is what I do"... however…
  • I was quite confused for a moment, but you mean Detroit dont' you? It's not THAT far away. :wink: For some reason I when I think of Michigander I think... Oberon. Not sure why, but the first day you could buy it was yesterday, I think I need to get my butt down to Bells. I wonder if they have any low cal foods? (Oh forget…
  • I have not yet found an actually Shelbyville, but I believe it must be there somewhere. I've got friends in Hopkins, I use the Shelbyville exit to get there... but there is nothing there... ;p
  • I used to do this: Starve myself for 3 days, then eat (LITERALLY) everything edible in the cupboards. It was a combination of emotional instability (with punishing myself for over eating by eating too little), and then finally breaking down and trying to be satisfied by eating too much. (When really I wasn't satisfied with…
  • Is there more than one? I figured locals would know it by Kzoo, and anyone else it didn't matter. ;p There are some awesome little parks, and the Kalalamazoo River Valley trail will hopefully make Kzoo a hiker/biker hub for this part of MI. I'm so excited about it! Just curious how many of us there were/are.
  • I'm not exactly a scale-olic, but I made a promis to myself that I was going to judge my weight in INCHES and not lbs. Knowing that the changing muscle fat ratio in my body will give me distressing and unreal scale expectations, and ultimately I will be let down. That being said, I still can't help myself form hopping on…
  • Actually I have a strange schedule. I work from 7AM to 7PM on Friday, Saturday, and Sunday (Though that usually turns into 7AM to 8:30PM). My Monday-Thursday is school and the occasional OT for work. I have started jogging in the mornings, which has really helped me mellow out. (I'm naturally quite jittery, which should…
  • But they are soooo good! ;p
  • I need to buy the book, I've been perusing the website for a while. So next stop... Barnes and Nobles?? (I've got a gift card from the holidays still, somewhere.) The nice thing about MI is the beaches, and this year I plan to not be afraid of them. :noway: I've noticed just eating healthier foods, I start to crave them…
  • I was always told that A. Add biotin to your diet. (Um, from my mum who prescribes it for horse feet... but it seems to improve both hair and nails on both equines and humans.) B. Make sure you are getting enough fats. Healthy fats, without them your hair and nails, and skin tend to become drier and brittler. Hope you find…
  • ICE CREAM. If it is in the freezer... well it rarely makes it to the freezer, and it doesn't matter how much there is. Also - canned black olives. I've eaten two cans at once before. Definitely not on the grocery list. :wink:
  • broadsword7 is so right. I love me a home made salad. However, when I got out to eat (especially at sit down restaurants) their salads are usually iceberg lettuce, a few large rings of onion, some carrot shavings, a tomato slice or two, and dressing. (plus or minus the old egg.) It's depressing. At home... oh do I love…
  • From personal experience, protein helps to stabilize your blood sugar... so if you drink one with breakfast (at least for me) it will help keep you from getting hungry as quick. As far as one that does taste like .@@S*... don't get the unflavored... it does not go down well and it smells really bad.
  • Ick, salad. Ok, it's not all bad... but most of it is pretty bad. I love that my phone has this, I'm calling it the "Calorie bank", though it makes it so much easier to see how what I'm eating effects it. (So I didn't eat two snack wraps... I had NO idea they "cost" that much.) WELCOME from one phone app newbie to another!